Given >
~~~
DFT (ωB97M-V/def2-TZVPD) results for C28H32N8O3STc as an isolated structure.

Structure (XYZ):
```
73
Properties=species:S:1:pos:R:3:mulliken_charge:R:1
Tc 0.013 -0.440 -0.706 -0.7009
O -2.241 1.720 -3.269 -0.5292
C -1.393 1.078 -2.723 -0.0387
N -1.594 0.122 -1.704 0.6999
C -2.816 0.035 -1.015 -0.1521
O -3.832 0.607 -1.287 -0.5717
C -2.722 -0.858 0.198 0.4550
C -3.845 -1.203 0.918 -0.9443
C -3.690 -2.022 2.027 -0.5461
C -2.423 -2.473 2.367 -0.8949
C -1.341 -2.093 1.592 -0.3722
N -1.493 -1.284 0.537 0.9153
C 0.068 1.225 -3.082 0.5756
C 0.453 1.912 -4.213 -0.7775
C 1.805 1.975 -4.519 -0.4705
C 2.720 1.354 -3.681 -0.9457
C 2.260 0.686 -2.562 -0.4193
N 0.958 0.633 -2.266 0.8644
H -4.807 -0.830 0.595 0.6267
H -4.550 -2.316 2.615 0.4820
H -2.266 -3.121 3.218 0.5094
H -0.334 -2.428 1.808 0.5086
H -0.308 2.375 -4.826 0.5911
H 2.142 2.497 -5.405 0.4713
H 3.781 1.386 -3.884 0.4722
H 2.934 0.208 -1.863 0.5003
C 4.729 -1.358 3.747 -1.0468
C 3.230 -1.599 3.823 -0.4188
N 2.470 -0.607 3.049 -0.1390
C 2.043 -0.809 1.808 0.5438
S 1.302 0.550 0.968 -0.1950
N 2.164 -1.959 1.206 -1.3012
N 1.590 -1.887 -0.048 1.6091
C 2.001 -2.781 -0.875 0.6321
C 3.098 -3.731 -0.541 -1.6705
C 1.221 -2.849 -2.104 0.6310
C 1.495 -3.705 -3.155 -1.0137
C 0.612 -3.788 -4.217 -0.5953
C -0.542 -3.027 -4.180 -1.1769
C -0.747 -2.171 -3.116 -0.2584
N 0.127 -2.055 -2.099 0.7251
H 5.251 -2.042 4.415 0.3667
H 4.981 -0.341 4.051 0.3093
H 5.099 -1.518 2.734 0.2773
H 2.875 -1.547 4.852 0.3818
H 2.972 -2.577 3.426 0.2566
H 2.436 0.338 3.399 0.2338
H 3.990 -3.177 -0.247 0.3106
H 3.338 -4.393 -1.366 0.4778
H 2.811 -4.331 0.324 0.3318
H 2.389 -4.310 -3.139 0.3763
H 0.815 -4.447 -5.050 0.4783
H -1.286 -3.085 -4.961 0.5093
H -1.629 -1.554 -3.065 0.6314
O -0.560 1.713 -0.151 -0.1188
C -1.439 2.309 0.531 0.3469
C -2.040 3.590 0.037 -1.0548
C -1.684 4.820 0.916 -0.8663
C -1.204 4.497 2.332 -0.5816
C -2.227 3.779 3.211 -0.6648
C -2.818 2.527 2.550 -0.8892
N -1.854 1.826 1.694 0.3300
H -3.121 3.438 -0.001 0.4211
H -1.710 3.732 -0.989 0.4493
H -2.555 5.476 0.958 0.3360
H -0.898 5.383 0.413 0.3614
H -0.914 5.427 2.821 0.4592
H -0.290 3.896 2.273 0.1781
H -3.055 4.450 3.446 0.3488
H -1.759 3.514 4.160 0.3276
H -3.679 2.785 1.935 0.3590
H -3.169 1.813 3.292 0.5612
H -1.340 1.038 2.062 0.1219
```

Properties
E_tot, a.u.: -2228.5625
Charge: +2
<S²>: 0.758
2S+1: 2

----------

C14H42CrKO24P2V | ωB97M-V/def2-TZVPD

Properties
charge: -1
⟨S²⟩: 3.817
orbital gap (spin up / spin down): 6.0193 / 6.0710 eV
energy above the lowest of the compared OMol25 structures with the same formula, charge and spin: 0.0 kcal per mole
spin multiplicity: 4
highest occupied orbital energy (spin up / spin down): -4.6112 / -4.6637 eV

Geometry as XYZ:
```
85
Properties=species:S:1:pos:R:3:forces:R:3:lowdin_spin:R:1
K -1.0578 -2.2772 -1.6983 -0.6 0.3 0.2 0.00
Cr -1.9639 1.5102 -1.1502 -4.3 0.7 -2.2 2.94
O -2.7480 -0.7619 2.6725 0.8 -0.2 -0.2 0.00
V -1.4443 -1.1228 1.8420 -1.0 -0.4 -1.6 0.02
O -1.5785 -2.5827 1.2191 -0.1 0.6 0.7 0.00
P -0.0607 0.4949 0.0220 -6.3 0.6 -0.3 0.02
O -1.5753 0.0092 0.1022 -1.9 -3.7 3.6 0.01
O -0.6144 1.9457 0.4475 4.0 0.0 -0.3 0.00
O -0.2586 0.3983 -1.5187 4.4 0.3 -0.6 0.02
O 0.4927 -0.5514 1.0025 2.1 1.0 0.0 0.01
P -4.0615 0.9756 -2.8302 -1.6 0.8 -0.4 0.01
O -4.3565 -0.4416 -3.3003 1.1 0.1 0.3 0.00
O -5.1242 1.9513 -3.2615 1.0 0.0 0.3 0.00
O -2.5642 1.4848 -3.0254 1.3 -0.2 -0.2 -0.05
O -3.8137 1.0173 -1.2426 -0.1 -0.6 1.4 -0.05
C 3.6812 -0.2635 0.2057 -0.8 0.2 0.1 0.00
C 5.1595 -0.2423 0.2635 1.2 0.1 -0.3 0.00
O 5.7131 -0.1166 -1.0449 0.1 0.1 0.0 0.00
O 3.2042 -0.6612 1.4755 -0.9 -0.4 -0.1 0.00
H 3.3699 -0.9316 -0.6097 -0.2 0.0 0.1 0.00
H 3.3211 0.7485 -0.0203 0.0 -0.1 -0.3 0.00
H 5.5740 -1.1411 0.7278 -0.3 0.0 0.3 0.00
H 5.4878 0.6207 0.8399 0.2 0.0 0.0 0.00
H 5.7002 -0.9967 -1.4318 0.0 0.1 -0.1 0.00
H 2.2188 -0.6972 1.3941 0.8 0.2 0.3 0.00
C 2.4755 -3.6772 0.0257 0.0 0.1 -1.0 0.00
C 2.4357 -5.1826 -0.0180 -0.1 -0.3 1.1 0.00
O 2.0602 -5.7643 1.2597 0.1 0.6 -0.8 0.00
~~~

Exercise >
Now retype the rows further up from the first line to the one with "2.436 0.338" verbatim.

Written answer >
DFT (ωB97M-V/def2-TZVPD) results for C28H32N8O3STc as an isolated structure.

Structure (XYZ):
```
73
Properties=species:S:1:pos:R:3:mulliken_charge:R:1
Tc 0.013 -0.440 -0.706 -0.7009
O -2.241 1.720 -3.269 -0.5292
C -1.393 1.078 -2.723 -0.0387
N -1.594 0.122 -1.704 0.6999
C -2.816 0.035 -1.015 -0.1521
O -3.832 0.607 -1.287 -0.5717
C -2.722 -0.858 0.198 0.4550
C -3.845 -1.203 0.918 -0.9443
C -3.690 -2.022 2.027 -0.5461
C -2.423 -2.473 2.367 -0.8949
C -1.341 -2.093 1.592 -0.3722
N -1.493 -1.284 0.537 0.9153
C 0.068 1.225 -3.082 0.5756
C 0.453 1.912 -4.213 -0.7775
C 1.805 1.975 -4.519 -0.4705
C 2.720 1.354 -3.681 -0.9457
C 2.260 0.686 -2.562 -0.4193
N 0.958 0.633 -2.266 0.8644
H -4.807 -0.830 0.595 0.6267
H -4.550 -2.316 2.615 0.4820
H -2.266 -3.121 3.218 0.5094
H -0.334 -2.428 1.808 0.5086
H -0.308 2.375 -4.826 0.5911
H 2.142 2.497 -5.405 0.4713
H 3.781 1.386 -3.884 0.4722
H 2.934 0.208 -1.863 0.5003
C 4.729 -1.358 3.747 -1.0468
C 3.230 -1.599 3.823 -0.4188
N 2.470 -0.607 3.049 -0.1390
C 2.043 -0.809 1.808 0.5438
S 1.302 0.550 0.968 -0.1950
N 2.164 -1.959 1.206 -1.3012
N 1.590 -1.887 -0.048 1.6091
C 2.001 -2.781 -0.875 0.6321
C 3.098 -3.731 -0.541 -1.6705
C 1.221 -2.849 -2.104 0.6310
C 1.495 -3.705 -3.155 -1.0137
C 0.612 -3.788 -4.217 -0.5953
C -0.542 -3.027 -4.180 -1.1769
C -0.747 -2.171 -3.116 -0.2584
N 0.127 -2.055 -2.099 0.7251
H 5.251 -2.042 4.415 0.3667
H 4.981 -0.341 4.051 0.3093
H 5.099 -1.518 2.734 0.2773
H 2.875 -1.547 4.852 0.3818
H 2.972 -2.577 3.426 0.2566
H 2.436 0.338 3.399 0.2338